Politics and economics go hand in hand for women’s benefit: SWOPS under the patronage of Dilek Kolat
=====
Entry from Alexandria: an optimized crystal structure of Rb12Ga3F5 (GGA-PBE).

N(E_F) = 10.8 states/eV/f.u.
Crystal system = cubic
Magnetization = 5.013 μB/f.u.
Raw formation energy = -1.160 eV/atom

Lattice parameters (Å, degrees): 16.293 16.293 16.293 109.47 109.47 109.47
Site moments in Bohr magnetons follow the coordinates.
Positions (direct):
Ga 0.750 0.375 0.125  0.32
Ga 0.875 0.750 0.125  0.32
Ga 0.375 0.750 0.625  0.32
Ga 0.250 0.125 0.375  0.32
Ga 0.875 0.125 0.250  0.32
Ga 0.375 0.625 0.250  0.32
Ga 0.625 0.375 0.750  0.32
Ga 0.125 0.875 0.750  0.32
Ga 0.750 0.875 0.625  0.32
Ga 0.625 0.250 0.375  0.32
Ga 0.125 0.250 0.875  0.32
Ga 0.250 0.625 0.875  0.32
F 0.125 0.375 0.250  0.01
F 0.000 0.500 0.000  0.01
F 0.000 0.000 0.000  0.01
F 0.375 0.250 0.125  0.01
F 0.500 0.000 0.500  0.01
F 0.500 0.500 0.000  0.01
F 0.125 0.750 0.375  0.01
F 0.750 0.125 0.875  0.01
F 0.750 0.625 0.375  0.01
F 0.375 0.125 0.750  0.01
F 0.625 0.875 0.250  0.01
F 0.500 0.500 0.500  0.01
F 0.500 0.000 0.000  0.01
F 0.000 0.000 0.500  0.01
F 0.250 0.375 0.625  0.01
F 0.250 0.875 0.125  0.01
F 0.000 0.500 0.500  0.01
F 0.875 0.250 0.625  0.01
F 0.625 0.750 0.875  0.01
F 0.875 0.625 0.750  0.01
Rb 0.696 0.114 0.013  0.02
Rb 0.317 0.513 0.399  0.02
Rb 0.987 0.386 0.304  0.02
Rb 0.513 0.196 0.114  0.02
Rb 0.582 0.696 0.683  0.02
Rb 0.987 0.601 0.183  0.02
Rb 0.317 0.804 0.418  0.02
Rb 0.101 0.918 0.114  0.02
Rb 0.601 0.987 0.683  0.02
Rb 0.696 0.582 0.183  0.02
Rb 0.804 0.487 0.386  0.02
Rb 0.817 0.899 0.013  0.02
Rb 0.114 0.696 0.513  0.02
Rb 0.386 0.399 0.082  0.02
Rb 0.082 0.899 0.386  0.02
Rb 0.418 0.114 0.601  0.02
Rb 0.082 0.183 0.196  0.02
Rb 0.487 0.683 0.101  0.02
Rb 0.817 0.918 0.304  0.02
Rb 0.114 0.418 0.101  0.02
Rb 0.386 0.987 0.804  0.02
Rb 0.601 0.614 0.418  0.02
Rb 0.899 0.817 0.513  0.02
Rb 0.804 0.317 0.918  0.02
Rb 0.399 0.386 0.582  0.02
Rb 0.101 0.183 0.487  0.02
Rb 0.196 0.683 0.082  0.02
Rb 0.183 0.082 0.696  0.02
Rb 0.614 0.013 0.196  0.02
Rb 0.886 0.582 0.899  0.02
Rb 0.513 0.317 0.899  0.02
Rb 0.582 0.886 0.399  0.02
Rb 0.918 0.817 0.804  0.02
Rb 0.918 0.101 0.614  0.02
Rb 0.886 0.304 0.487  0.02
Rb 0.183 0.101 0.987  0.02
Rb 0.614 0.601 0.918  0.02
Rb 0.399 0.013 0.317  0.02
Rb 0.304 0.418 0.817  0.02
Rb 0.196 0.513 0.614  0.02
Rb 0.899 0.082 0.886  0.02
Rb 0.683 0.196 0.582  0.02
Rb 0.487 0.804 0.886  0.02
Rb 0.013 0.399 0.817  0.02
Rb 0.418 0.304 0.317  0.02
Rb 0.013 0.614 0.696  0.02
Rb 0.683 0.487 0.601  0.02
Rb 0.304 0.886 0.987  0.02
=====
[Back to the article]
Dilek Kolat, Senator for Labour, Integration and Women’s Issues in the State of Berlin, Germany (SenAIF) becomes patroness of the SWOPS demography project, thereby supporting the sustainable transformation of corporate cultures in Europe.
********
# CeCF | Alexandria via LeMat-Bulk | PBE | optimized geometry
data_CeCF
_chemical_formula_sum 'Ce1 C1 F1'
_symmetry_space_group_name_H-M 'P 1'
_symmetry_Int_Tables_number 1
_symmetry_space_group_name_Hall 'P 1'
_cell_length_a 3.763
_cell_length_b 3.763
_cell_length_c 4.249
_cell_angle_alpha 90.00
_cell_angle_beta 90.00
_cell_angle_gamma 120.00
loop_
_atom_site_label
_atom_site_type_symbol
_atom_site_fract_x
_atom_site_fract_y
_atom_site_fract_z
Ce1 Ce 0.000 0.000 0.000
C1 C 0.333 0.667 0.802
F1 F 0.667 0.333 0.257
# - Calculated volume: 52.1 Å³/f.u.
# - Density of states at the Fermi level: 3.0 states/eV per cell
# - Energy relative to the lowest polymorph listed for this composition: 1022 meV/atom
# - Symmetry: No. 156
# - E_form (uncorrected): -920 meV/atom

----------

Entry 1:
DFT (PBE-GGA) results for crystalline Ac2Ni4SnP3 at its relaxed geometry.

Output
* density: 8.47 g/cm3

Unit cell a=4.2068 b=4.2068 c=9.9774 alpha=90.00 beta=90.00 gamma=90.00
Last column: nearest neighbours and their distance in Å.
Space group P-4m2 (No. 115)
Unique sites:
Ac 0.0000 0.5000 0.2329 (multiplicity 2)  8 Ni 3.13-3.23, 6 P 3.18-3.39, 2 Sn 3.39
Ni 0.0000 0.0000 0.0000 (multiplicity 1)  4 P 2.42
Ni 0.0000 0.5000 0.6422 (multiplicity 2)  3 P 2.37-2.54, 2 Sn 2.54
Ni 0.5000 0.5000 0.0000 (multiplicity 1)  4 P 2.42
Sn 0.0000 0.0000 0.5000 (multiplicity 1)  4 Ni 2.54
P 0.0000 0.5000 0.8800 (multiplicity 2)  5 Ni 2.37-2.42
P 0.5000 0.5000 0.5000 (multiplicity 1)  4 Ni 2.54



Entry 2:
DFT (PBE-GGA) results for crystalline SrAcNi2P2 at its relaxed geometry.

Output
* density: 6.67 g/cm3

Unit cell a=4.0324 b=4.0324 c=8.7368 alpha=90.00 beta=90.00 gamma=120.00
Last column: nearest neighbours and their distance in Å.
Space group P-3m1 (No. 164)
Unique sites:
Sr 0.0000 0.0000 0.0000 (multiplicity 1)  6 P 3.19, 6 Ni 3.22
Ac 0.0000 0.0000 0.5000 (multiplicity 1)  6 Ni 3.16, 6 P 3.19
Ni 0.3333 0.6667 0.2548 (multiplicity 2)  3 P 2.33
P 0.3333 0.6667 0.7503 (multiplicity 2)  3 Ni 2.33



Entry 3:
DFT (PBE-GGA) results for crystalline SrAcNiP at its relaxed geometry.

Output
* density: 6.65 g/cm3

Unit cell a=7.3924 b=7.3924 c=7.3924 alpha=90.00 beta=90.00 gamma=90.00
Last column: nearest neighbours and their distance in Å.
Space group F-43m (No. 216)
Unique sites:
Sr 0.0000 0.0000 0.0000 (multiplicity 4)  4 P 3.20, 4 Ni 3.20
Ac 0.0000 0.0000 0.5000 (multiplicity 4)  4 Ni 3.20, 4 P 3.20
Ni 0.2500 0.2500 0.7500 (multiplicity 4)  4 Ac 3.20, 4 Sr 3.20
P 0.2500 0.2500 0.2500 (multiplicity 4)  4 Ac 3.20, 4 Sr 3.20



| no. | raw total energy (eV/atom) |
| --- | --- |
| 1 | -5.909 |
| 2 | -5.655 |
| 3 | -4.738 |
********
Equal opportunities are proven to provide a crucial factor for innovation and economic success for businesses in Europe. Therefore, the regional association of Business and Professional Women (BPW) Germany, BPW Club Berlin, has initiated SWOPS. The aim of the project is to develop a structural change oriented personnel strategy that works across countries and provides companies with innovative tools with which they will be able to master the challenges of demographic change.
During the two-year project duration of SWOPS, possible causes are being explored that prevent decision makers from offering qual opportunities for career development to both women and men. The consultation process occurs in four SMEs each from Sweden, Austria, France and Germany. In this way, an effective consultation tool with a human resources strategy will be developed as a handout for the corporate management. The handout will support employers in dispelling traditional role models to increase their attractiveness as an employer for prospective employees and help them to differentiate themselves positively from other competitors in the labor market. SWOPS serves employers to selectively pursue change processes in motion and successfully implement new personnel standards. At the same time it contributes to the enhancement of the corporate brand as ’employer branding tool’. In particular, SWOPS enables young companies to gain competitive advantages and growth in the international ranking at an early stage. Companies benefit from strategies that have already proven themselves in other EU countries and are combined as best practices in the SWOPS strategy.
In her commitment to become the patroness Senator Dilek Kolat welcomed the objectives of SWOPS:
With the campaign “Companies with women at the top!” the Senate Department for Labour, Integration and Women and the Berlin Chamber of Commerce have created a combined network of Berlin-based companies to improve the career opportunities for women in working life, which – like the SWOPS project – addresses change in the corporate culture.
Cornelia F. Krämer, 1st Chair of the BPW Club Berlin and SWOPS project manager: “With the generous funding of SWOPS by the Senate for Labour, Integration and Women we welcome all the more that Senator Dilek Kolat now is the patroness of SWOPS. We are convinced that SWOPS is an important building block for more opportunity fairness and therefore will have a share in the economic boom for many companies – both in the region as well as throughout Europe.”
********
Version 1
A plane-wave DFT calculation with PBE was carried out for TlTcTe after structural relaxation.

Summary:
N(E_F)   1.89 states/eV/f.u.

CIF file:
```
data_TlTcTe
_symmetry_space_group_name_H-M 'P 3 m 1'
_symmetry_Int_Tables_number 156
_cell_length_a 3.4676
_cell_length_b 3.4676
_cell_length_c 6.7357
_cell_angle_alpha 90.00
_cell_angle_beta 90.00
_cell_angle_gamma 120.00
loop_
_symmetry_equiv_pos_as_xyz
'x,y,z'
'-y,x-y,z'
'-x+y,-x,z'
'-y,-x,z'
'-x+y,y,z'
'x,x-y,z'
loop_
_atom_site_label
_atom_site_type_symbol
_atom_site_fract_x
_atom_site_fract_y
_atom_site_fract_z
_atom_site_occupancy
Tl1 Tl 0.0000 0.0000 0.0000 1
Tc1 Tc 0.6667 0.3333 0.3192 1
Te1 Te 0.3333 0.6667 0.5694 1
```



Version 2
A plane-wave DFT calculation with PBE was carried out for TlTcTe after structural relaxation.

Summary:
N(E_F)   1.77 states/eV/f.u.

CIF file:
```
data_TlTcTe
_symmetry_space_group_name_H-M 'I 4 m m'
_symmetry_Int_Tables_number 107
_symmetry_space_group_name_Hall 'I 4 -2'
_cell_length_a 3.266
_cell_length_b 3.266
_cell_length_c 13.350
_cell_angle_alpha 90.00
_cell_angle_beta 90.00
_cell_angle_gamma 90.00
loop_
_atom_site_label
_atom_site_type_symbol
_atom_site_fract_x
_atom_site_fract_y
_atom_site_fract_z
_atom_site_occupancy
Tl1 Tl 0.000 0.000 0.000 1
Tc1 Tc 0.000 0.000 0.345 1
Te1 Te 0.000 0.000 0.740 1
```



The structure with the greatest stability is version 2.



Version 1
A plane-wave DFT calculation with PBE was carried out for TlTcTe after structural relaxation.

Summary:
N(E_F)   3.48 states/eV/f.u.

CIF file:
```
data_TlTcTe
_symmetry_space_group_name_H-M 'F -4 3 m'
_symmetry_Int_Tables_number 216
_symmetry_space_group_name_Hall 'F -4 2 3'
_cell_length_a 6.603
_cell_length_b 6.603
_cell_length_c 6.603
_cell_angle_alpha 90.00
_cell_angle_beta 90.00
_cell_angle_gamma 90.00
loop_
_atom_site_label
_atom_site_type_symbol
_atom_site_fract_x
_atom_site_fract_y
_atom_site_fract_z
_atom_site_occupancy
Tl1 Tl 0.000 0.000 0.000 1
Tc1 Tc 0.250 0.250 0.750 1
Te1 Te 0.000 0.000 0.500 1
```



Version 2
A plane-wave DFT calculation with PBE was carried out for TlTcTe after structural relaxation.

Summary:
N(E_F)   4.21 states/eV/f.u.

CIF file:
```
data_TlTcTe
_symmetry_space_group_name_H-M 'P -6 m 2'
_symmetry_Int_Tables_number 187
_symmetry_space_group_name_Hall 'P -6 2'
_cell_length_a 4.6354
_cell_length_b 4.6354
_cell_length_c 3.7013
_cell_angle_alpha 90.00
_cell_angle_beta 90.00
_cell_angle_gamma 120.00
loop_
_atom_site_label
_atom_site_type_symbol
_atom_site_fract_x
_atom_site_fract_y
_atom_site_fract_z
_atom_site_occupancy
Tl1 Tl 0.0000 0.0000 0.0000 1
Tc1 Tc 0.6667 0.3333 0.5000 1
Te1 Te 0.3333 0.6667 0.5000 1
```



The structure with the greatest stability is version 1.


Record 1
KAc2GeO6 | PBE | relaxed

Structure (POSCAR):
```
KAc2GeO6
1.0
3.122 1.802 4.699
-3.122 1.802 4.699
0.000 -3.605 4.699
K Ac Ge O
1 2 1 6
Direct
0.000 0.000 0.000 K
0.268 0.268 0.268 Ac
0.732 0.732 0.732 Ac
0.500 0.500 0.500 Ge
0.178 0.677 0.402 O
0.323 0.598 0.822 O
********
The crystal structures stop here:
The range of applications of SWOPS in the companies is manifold: SWOPS provides support, for example in improving communication between management and the workforce, in the balanced distribution of responsibilities and roles, as well as the establishment of mixed teams with more creativity and innovation in companies. Furthermore SWOPS provides support for the introduction and implementation of innovative recruiting activities, the occupational health management, or in the development of strategies to attract more young women into technology occupations.
SWOPS is a tool for the (ongoing) development of HR strategies and operational human resources management financed by the PROGRESS program of the European Union and co-financed by the Berlin Senate for Labour, Integration and Women (SenAIF) and the Senate Östergötland (Sweden) with a total of around half a million Euros. SWOPS is currently being developed on the initiative of the BPW Club Berlin.
In addition to the Berlin RKW GmbH, which is responsible for the content control, other international partners are involved: In France the European employers ‘association, Centre Européen de Ressources of Groupements of Employeurs (CERGE), Poitiers, and at the regional level, the Centre de Ressources of Groupements d’ Employeurs (CRGE), Poitou-Charentes. In Austria the cluster for sustainable waste management in Styria ARGE.at comprising 130 companies and in Sweden the SME network of regional developer Tillväxt Motala.